Please work out how many lines below have the word "XRD" in them; a number is enough.

# 1
Simulated XRD peak list
Compound: Tb3Ho5Tm2
Radiation: CuKα
Structure: a cell relaxed with PBE
Lines closer than 0.1° are merged.

Atomic structure:
a b c (Å): 10.592 15.583 9.377
angles (deg): 90.00 124.20 90.00
Space group C2/c (No. 15)
One atom of each set of equivalent atoms:
Tb 0.000 0.233 0.250 x4
Tb 0.144 0.123 0.046 x8
Ho 0.000 0.028 0.250 x4
Ho 0.000 0.271 0.750 x4
Ho 0.000 0.469 0.750 x4
Ho 0.239 0.388 0.230 x8
Tm 0.153 0.382 0.548 x8

Principal peaks in the range 10 to 90 degrees two-theta, in order of rising 2θ:
index	2theta	d_spacing	I (rel.)
2 2 1	30.7	2.908	100.0
2 2 -3	30.8	2.899	34.5
0 4 2	32.6	2.748	15.9
4 0 -2	33.9	2.648	32.2
2 6 -1	38.6	2.332	12.5
0 6 3	49.8	1.832	13.3
4 6 -3	50.6	1.803	8.6
6 2 -1	58.6	1.575	16.0
4 0 2	58.9	1.568	9.6
2 10 -3	67.1	1.395	12.3

---

# 2
Simulated XRD peak list
Compound: Ho12Er3Pu
Radiation: CuKα
Structure: a cell relaxed with PBE
Lines closer than 0.1° are merged.

Atomic structure:
a b c (Å): 5.609 5.609 15.774
angles (deg): 90.00 90.00 90.00
Space group P4/mmm (No. 123)
One atom of each set of equivalent atoms:
Ho 0.000 0.000 0.000 x1
Ho 0.000 0.000 0.242 x2
Ho 0.000 0.000 0.500 x1
Ho 0.000 0.500 0.115 x4
Ho 0.000 0.500 0.370 x4
Er 0.500 0.500 0.240 x2
Er 0.500 0.500 0.500 x1
Pu 0.500 0.500 0.000 x1

Principal peaks in the range 10 to 90 degrees two-theta, in order of rising 2θ:
index	2theta	d_spacing	I (rel.)
2 0 0	32.0	2.799	100.0
2 2 0	45.8	1.983	12.7
0 0 8	46.0	1.972	5.6
3 1 4	56.9	1.618	25.9
2 0 8	57.1	1.613	11.7
4 0 0	66.7	1.402	4.2
2 2 8	66.9	1.398	7.3
4 2 0	75.9	1.254	11.3
1 1 12	76.3	1.248	4.2
4 0 8	84.8	1.143	3.9

---

# 3
Simulated XRD peak list
Compound: ZnCrInSe4
Radiation: CuKα
Structure: a cell relaxed with PBE
Lines closer than 0.1° are merged.

Atomic structure:
a b c (Å): 7.695 7.732 11.043
angles (deg): 90.00 90.00 90.00
Space group Imma (No. 74)
One atom of each set of equivalent atoms:
Zn 0.000 0.250 0.122 x4
Cr 0.250 0.250 0.750 x4
In 0.000 0.000 0.500 x4
Se 0.000 0.025 0.751 x8
Se 0.248 0.250 0.519 x8

Principal peaks in the range 10 to 90 degrees two-theta, in order of rising 2θ:
index	2theta	d_spacing	I (rel.)
1 0 1	14.0	6.321	26.5
1 0 3	26.8	3.321	28.3
1 2 1	27.1	3.295	59.3
2 0 2	28.2	3.162	28.0
0 0 4	32.4	2.761	40.2
2 2 0	32.8	2.727	81.2
2 3 1	43.0	2.103	22.7
2 2 4	46.8	1.940	100.0
0 4 0	47.0	1.933	24.2
4 0 0	47.2	1.924	26.7

---

# 4
Simulated XRD peak list
Compound: Sc2Al6Os
Radiation: CuKα
Structure: a cell relaxed with PBE
Lines closer than 0.1° are merged.

Atomic structure:
a b c (Å): 9.525 5.498 6.077
angles (deg): 90.00 90.13 90.00
Space group C2/m (No. 12)
One atom of each set of equivalent atoms:
Sc 0.166 0.000 0.397 x4
Al 0.085 0.245 0.818 x8
Al 0.170 0.500 0.183 x4
Os 0.000 0.500 0.500 x2

Principal peaks in the range 10 to 90 degrees two-theta, in order of rising 2θ:
index	2theta	d_spacing	I (rel.)
0 0 1	14.6	6.077	67.1
2 0 0	18.6	4.762	86.1
2 0 1	23.7	3.748	70.4
3 1 0	32.6	2.749	40.6
2 0 2	35.0	2.562	51.1
0 2 1	35.9	2.505	100.0
2 2 1	40.7	2.217	57.3
3 1 -2	44.4	2.039	42.4
2 2 -2	48.6	1.875	22.5
1 1 -3	48.9	1.864	30.4

---

# 5
Simulated XRD peak list
Compound: Tb3ErPb5
Radiation: CuKα
Structure: a cell relaxed with PBE
Lines closer than 0.1° are merged.

Atomic structure:
a b c (Å): 9.5469 9.5469 6.5426
angles (deg): 90.00 90.00 120.00
Space group P6_3/mcm (No. 193)
One atom of each set of equivalent atoms:
Tb 0.0000 0.3816 0.2500 x6
Er 0.0000 0.0000 0.0000 x2
Pb 0.0000 0.2859 0.7500 x6
Pb 0.3333 0.6667 0.0000 x4

Principal peaks in the range 10 to 90 degrees two-theta, in order of rising 2θ:
index	2theta	d_spacing	I (rel.)
2 1 1	31.7	2.820	38.8
3 0 0	32.5	2.756	89.0
1 1 2	33.2	2.698	100.0
3 1 1	41.7	2.164	13.4
2 2 2	47.1	1.928	29.9
4 1 2	58.4	1.580	28.9
4 2 1	61.0	1.520	11.5
5 1 1	64.3	1.448	10.9
3 0 4	66.5	1.407	23.4
5 2 2	77.8	1.227	13.3

---

# 6
Simulated XRD peak list
Compound: Ce2ErF8
Radiation: CuKα
Structure: a cell relaxed with PBE
Lines closer than 0.1° are merged.

Atomic structure:
a b c (Å): 14.950 3.996 5.393

6